Oozing success

Sophomore makes profit off of famous slime account on Instagram

Brianna Henry

Sophomore Pilar Nava owns a famous slime business that she promotes through her slime account on Instagram.

Stretching, squishing and folding. As slime has risen in popularity since 2016, new creators have risen too. Sophomore Pilar Nava owns a slime business and has an Instagram account, showing off the different slime she makes and reviewing others that she’s been sent as well. Through this, she’s gained over 460,000 followers. She also has an Etsy account with over four stars. She has made and sold almost 19,000 slimes.  Nava’s successful slime business has opened her life to both changes and new opportunities.

“It’s really fun,” Nava said. “It can get stressful at times, like with school and family stuff that I have going on. But overall it’s really nice to be a part of what it’s like outside of school.”

Becoming interested in the concept after buying some slime online, Nava started her own slime business, known as MacaronsSlimes, or @macarons.slime on Instagram, in 2017 because of the social media trend in which people would make and showcase different types of slime. Nava knew that the trend was popular, but she didn’t expect the amount of growth she got. Her Instagram page got bigger and so did her sales. 

# Molecular data, kept here for reference
'''
(1)
8
Properties=species:S:1:pos:R:3:lowdin_charge:R:1 method="wB97M-V/def2-TZVPD" homo_lumo_gap_ev="5.62 / 6.20" total_charge=+1 homo_energy_ha="-0.46513 / -0.47719"
N 2.845 -0.232 0.301 0.2257
N 2.178 0.616 0.010 0.3026
N -1.835 0.471 0.030 0.0123
C -0.765 -0.220 -0.161 -0.0381
H -2.688 0.319 -0.389 0.0697
H 3.049 -1.314 0.290 0.2566
H -1.842 1.395 0.689 0.1872
H -0.943 -1.035 -0.770 -0.0160

***

(2)
8
Properties=species:S:1:pos:R:3:lowdin_charge:R:1 method="wB97M-V/def2-TZVPD" homo_lumo_gap_ev=11.45 total_charge=+1 homo_energy_ha=-0.59646
N 0.470 0.485 -0.493 -0.0341
N -0.940 0.335 0.066 0.1189
N 1.387 0.169 0.603 0.1847
C 1.270 -0.678 -0.316 -0.0453
H -1.178 -0.420 0.803 0.1898
H 1.876 -1.494 -0.713 0.1504
H -1.192 1.199 0.762 0.2336
H -1.694 0.404 -0.712 0.2019

***

Stability, lowest: (1)

***

(1)
8
Properties=species:S:1:pos:R:3:lowdin_charge:R:1 method="wB97M-V/def2-TZVPD" homo_lumo_gap_ev="9.41 / 8.78" total_charge=+1 homo_energy_ha="-0.59173 / -0.62120"
N -2.468 0.233 -0.079 0.4217
N -1.434 0.230 0.313 -0.0085
N 1.321 -0.633 -0.744 0.1887
C -0.241 0.272 0.785 0.0747
H 0.703 -1.035 -1.453 0.0304
H 0.268 1.229 0.841 0.1314
H 1.752 0.211 -1.123 0.0330
H 0.099 -0.508 1.461 0.1286

***

(2)
8
Properties=species:S:1:pos:R:3:lowdin_charge:R:1 method="wB97M-V/def2-TZVPD" homo_lumo_gap_ev="9.45 / 9.42" total_charge=+1 homo_energy_ha="-0.60728 / -0.60578"
N -0.776 0.901 -0.026 0.0586
N -2.182 -0.287 0.020 0.3368
N 0.698 -0.847 0.044 0.1845
C 0.421 0.394 0.003 -0.2399
H 1.576 -1.219 -0.121 0.1096
H 0.133 -1.764 0.054 0.1946
H 1.326 0.989 -0.239 0.1846
H -1.198 1.834 0.265 0.1712

***

(3)
8
Properties=species:S:1:pos:R:3:lowdin_charge:R:1 method="wB97M-V/def2-TZVPD" homo_lumo_gap_ev=11.45 total_charge=+1 homo_energy_ha=-0.57548
N -1.351 0.678 0.093 0.2210
N -0.896 -0.716 -0.084 0.1427
N 1.381 0.160 0.150 0.2882
C 0.100 -0.005 0.155 -0.1919
H -1.234 -1.646 -0.263 0.1891
H 2.006 -0.547 0.290 0.1161
H 1.694 1.099 0.404 0.1704
H -1.699 0.976 -0.746 0.0645

***

Stability, lowest: (2)

***

(1)
25
Properties=species:S:1:pos:R:3:lowdin_charge:R:1 method="wB97M-V/def2-TZVPD" homo_lumo_gap_ev="7.04 / 8.18" total_charge=0 homo_energy_ha="-0.24116 / -0.27129"
O -1.273 -2.550 0.669 0.0067
C 1.647 -2.040 0.221 -0.1175
C 0.961 -0.963 0.992 -0.1207
C -1.630 1.733 -0.166 -0.0539
C -1.147 -1.221 0.445 -0.1697
C 0.851 1.946 0.088 -0.0613
C -0.294 0.995 -0.270 -0.5442
C -0.244 -0.161 0.862 -0.3096
C -0.088 0.486 -1.696 -0.0458
H 1.032 -2.798 -0.300 0.0790
H 1.810 1.452 -0.044 0.0817
H 1.291 -0.983 2.037 0.0975
H -2.462 1.057 -0.343 0.0756
H -1.779 -1.077 -0.425 0.1078
H 0.721 -0.238 -1.748 0.0783
H 0.160 1.332 -2.338 0.0866
H 2.231 -2.653 0.916 0.0729
H -1.680 2.532 -0.908 0.0878
H 0.777 2.279 1.124 0.0859
H 0.817 2.830 -0.553 0.0835
H -0.991 0.024 -2.090 0.0776
H -0.526 0.338 1.794 0.1455
H -0.758 -2.827 1.439 0.1073
H -1.762 2.173 0.820 0.0846
H 2.336 -1.664 -0.528 0.0644

***

(2)
25
'''
# Back to the entry

Although Nava operates the business herself, her friends help with ideas and naming and testing different slimes. In addition, her family joined in on the fun and now contributes throughout the process as well. 

“I feel like it has made me become closer to my family because my family does help me with slime, so I became closer with them,” Nava said.

Nava enjoys doing the work that drives her business. She has a five-gallon mixer that creates a giant batch of slime in around 20 minutes. According to Nava, with 21 types of slime currently posted on her Etsy page, they sell out pretty often. Last year, she would sell around 200 to 300 slimes every week, with prices changing based on the type. Slime sales vary, however, depending on the season, increasing to about 600 sold per week in the summer.

Her slimes vary from Icee to foam to even slushie types. At the moment, Kiwi Slush is a reigning best seller. All slimes are made by Nava and are shipped internationally in small, customized packages. She says she has no secret recipe, but according to many reviews, the enticing smells and different textures are amazing. Scrolling through the homepage of the MacaronsSlimes Etsy, in bright red text, most of the slimes show that multiple people already have them in their carts, ready to be purchased.

However, although she enjoys it, there are some stressful aspects to owning a business. With school, family and friends along with MacaronsSlimes, Nava has a lot on her shoulders.

“…I feel like I don’t put that much into school anymore because I have slime,” Nava said.

Nava also feels stress because of having to restock her business. She tries to restock once a week, but since school has started, restock times have started to vary in timing. She’s only working on the business in her free time and only got one restock this August.

Her stress hasn’t gone unnoticed by her friends either. Nava has to keep up with the business while handling her school classes. Her friend, sophomore Anaika Castillo, says she’s there to help and come up with ideas when needed.

“I sometimes feel like it’s too much stress on her if she can’t come up with new ideas,” Castillo said. “Whenever she’s stressed, I’d always be like, ‘Go take a nap, go play with your dog, go play with your little cousins.’”

Despite her stress, Nava thoroughly enjoys pursuing her business, and her family and friends are there to support her in the process. 

Nava has even become an inspiration to her friends. Castillo says Nava has inspired her to want to create her own business as well. Although Castillo is nervous to do so, Nava has supported her ideas along the way.

“I always have ideas and I share them with her, and she’s very supportive about it, too,”  Castillo said.